• Exercise:
The reader should work out how many lines below have the word "H2" in them; a number is enough.
• Entries:
/*
1.
# Na4Hg PBE optimized geometry
data_Na4Hg
_cell_length_a 5.865
_cell_length_b 5.865
_cell_length_c 5.865
_cell_angle_alpha 90.00
_cell_angle_beta 90.00
_cell_angle_gamma 90.00
_space_group_name_H-M_alt 'P m -3 m'
_space_group_IT_number 221
_space_group_name_Hall '-P 4 2 3'
loop_
_atom_site_label
_atom_site_type_symbol
_atom_site_fract_x
_atom_site_fract_y
_atom_site_fract_z
Na1 Na 0.000 0.000 0.000
Na2 Na 0.000 0.500 0.500
Hg1 Hg 0.500 0.500 0.500
# - Total magnetic moment: 0.000 μB per atom
# - Energy of formation from the pure elements: 0.001 eV per atom

2.
# AlPRh2 PBE optimized geometry
data_AlPRh2
_cell_length_a 4.412
_cell_length_b 2.913
_cell_length_c 8.847
_cell_angle_alpha 90.00
_cell_angle_beta 90.00
_cell_angle_gamma 90.00
_space_group_name_H-M_alt 'A m m 2'
_space_group_IT_number 38
loop_
_space_group_symop_operation_xyz
'x,y,z'
'-x,-y,z'
'-x,y,z'
'x,-y,z'
'x,y+1/2,z+1/2'
'-x,-y+1/2,z+1/2'
'-x,y+1/2,z+1/2'
'x,-y+1/2,z+1/2'
loop_
_atom_site_label
_atom_site_type_symbol
_atom_site_fract_x
_atom_site_fract_y
_atom_site_fract_z
Al1 Al 0.000 0.000 0.000
P1 P 0.500 0.000 0.654
Rh1 Rh 0.000 0.000 0.731
Rh2 Rh 0.500 0.000 0.382
# - Total magnetic moment: 0.000 μB per atom
# - Energy of formation from the pure elements: -0.584 eV per atom

3.
# AgH6SeN2 PBE optimized geometry
data_AgH6SeN2
_cell_length_a 8.086
_cell_length_b 13.256
_cell_length_c 5.292
_cell_angle_alpha 90.00
_cell_angle_beta 90.78
_cell_angle_gamma 90.00
_space_group_name_H-M_alt 'C 1 2/c 1'
_space_group_IT_number 15
loop_
_space_group_symop_operation_xyz
'x,y,z'
'-x,-y,-z'
'-x,y,-z+1/2'
'x,-y,z+1/2'
'x+1/2,y+1/2,z'
'-x+1/2,-y+1/2,-z'
'-x+1/2,y+1/2,-z+1/2'
'x+1/2,-y+1/2,z+1/2'
loop_
_atom_site_label
_atom_site_type_symbol
_atom_site_fract_x
_atom_site_fract_y
_atom_site_fract_z
Ag1 Ag 0.000 0.121 0.250
H1 H 0.177 0.246 0.748
H2 H 0.178 0.354 0.592
H3 H 0.180 0.355 0.904
Se1 Se 0.000 0.076 0.750
N1 N 0.224 0.318 0.748
# - Total magnetic moment: 0.000 μB per atom

4.
# Tm3MgN4 PBE optimized geometry
data_Tm3MgN4
_cell_length_a 4.743
_cell_length_b 4.743
_cell_length_c 4.743
_cell_angle_alpha 90.00
_cell_angle_beta 90.00
_cell_angle_gamma 90.00
_space_group_name_H-M_alt 'P m -3 m'
_space_group_IT_number 221
_space_group_name_Hall '-P 4 2 3'
loop_
_atom_site_label
_atom_site_type_symbol
_atom_site_fract_x
_atom_site_fract_y
_atom_site_fract_z
Tm1 Tm 0.000 0.000 0.500
Mg1 Mg 0.500 0.500 0.500
N1 N 0.000 0.000 0.000
N2 N 0.000 0.500 0.500
# - Total magnetic moment: 0.001 μB per atom

5.
# MnHgI5 PBE optimized geometry
data_MnHgI5
_cell_length_a 16.807
_cell_length_b 8.370
_cell_length_c 10.173
_cell_angle_alpha 90.00
_cell_angle_beta 90.00
_cell_angle_gamma 90.00
_space_group_name_H-M_alt 'P n m a'
_space_group_IT_number 62
loop_
_space_group_symop_operation_xyz
'x,y,z'
'-x,-y,-z'
'-x+1/2,-y,z+1/2'
'x+1/2,y,-z+1/2'
'x+1/2,-y+1/2,-z+1/2'
'-x+1/2,y+1/2,z+1/2'
'-x,y+1/2,-z'
'x,-y+1/2,z'
loop_
_atom_site_label
_atom_site_type_symbol
_atom_site_fract_x
_atom_site_fract_y
_atom_site_fract_z
Mn1 Mn 0.067 0.250 0.148
Hg1 Hg 0.102 0.750 0.443
I1 I 0.000 0.000 0.000
I2 I 0.076 0.750 0.714
I3 I 0.150 0.029 0.311
I4 I 0.188 0.250 0.984
# - Total magnetic moment: 0.568 μB per atom

6.
# TaTlW PBE optimized geometry
data_TaTlW
_cell_length_a 3.476
_cell_length_b 3.476
_cell_length_c 9.429
_cell_angle_alpha 90.00
_cell_angle_beta 90.00
_cell_angle_gamma 90.00
_space_group_name_H-M_alt 'I 4 m m'
_space_group_IT_number 107
_space_group_name_Hall 'I 4 -2'
loop_
_atom_site_label
_atom_site_type_symbol
_atom_site_fract_x
_atom_site_fract_y
_atom_site_fract_z
Ta1 Ta 0.000 0.000 0.000
Tl1 Tl 0.000 0.000 0.315
W1 W 0.000 0.000 0.634
# - Total magnetic moment: 0.000 μB per atom
# - Energy of formation from the pure elements: 0.526 eV per atom

| no. | final energy (eV per atom) |
| --- | --- |
| 1 | -1.1147 |
| 2 | -6.5480 |
| 3 | -4.5357 |
| 4 | -7.4201 |
| 5 | -2.6489 |
| 6 | -8.5310 |
*/
• Here it is:
1